**Exercise:**
Now transcribe everything below character by character.

**Given:**
********
YH2Se | GGA-PBE | relaxed

Space group: Cm
N(E_F) in states/eV/f.u.: 1.66
Crystal system: monoclinic

Lattice parameters (Å, degrees): 5.3629 4.0252 7.0083 90.00 122.12 90.00
Positions (direct):
H  0.5993  0.0000  0.5627
Se  0.1284  0.0000  0.0806
Se  0.1284  0.5000  0.5806
H  0.5348  0.0000  0.6561
H  0.5348  0.5000  0.1561
Y  0.7699  0.0000  0.2586
H  0.5993  0.5000  0.0627
Y  0.7699  0.5000  0.7586



Y3HSe | GGA-PBE | relaxed

Space group: Pm-3m
N(E_F) in states/eV/f.u.: 4.20
Crystal system: cubic

Lattice parameters (Å, degrees): 4.7280 4.7280 4.7280 90.00 90.00 90.00
Positions (direct):
Se  0.5000  0.5000  0.5000
Y  0.0000  0.5000  0.0000
Y  0.0000  0.0000  0.5000
Y  0.5000  0.0000  0.0000
H  0.0000  0.0000  0.0000



YHSe2 | GGA-PBE | relaxed

Space group: P1
N(E_F) in states/eV/f.u.: 0.00
Crystal system: triclinic

Lattice parameters (Å, degrees): 4.3671 7.8594 5.6776 66.08 89.96 90.76
Positions (direct):
Y  0.7380  0.3988  0.8131
Y  0.2426  0.7592  0.1135
Se  0.2296  0.1394  0.1369
H  0.2501  0.1546  0.3885
Se  0.7507  0.0185  0.7898
Se  0.7371  0.5015  0.2599
Se  0.2436  0.6565  0.6667
H  0.7436  0.0040  0.5374



YH2Se | GGA-PBE | relaxed

Space group: P1
Crystal system: triclinic

Lattice parameters (Å, degrees): 3.8409 4.3183 7.6696 89.70 76.10 89.78
Positions (direct):
Se  0.0613  0.3885  0.9860
H  0.3993  0.6292  0.3213
H  0.9355  0.8866  0.2448
Y  0.8782  0.3857  0.3716
H  0.3528  0.9446  0.6293
Y  0.5183  0.8876  0.0762
Se  0.7201  0.8811  0.6543
H  0.4009  0.1446  0.3198



Y2H2Se | GGA-PBE | relaxed

Space group: I4/mmm
N(E_F) in states/eV/f.u.: 2.89
Crystal system: tetragonal

Lattice parameters (Å, degrees): 3.5965 3.5965 6.6689 74.36 74.36 90.00
Positions (direct):
Y  0.6410  0.6410  0.7181
H  0.2500  0.7500  0.5000
Se  0.0000  0.0000  0.0000
Y  0.3590  0.3590  0.2819
H  0.7500  0.2500  0.5000



YZrHSe2 | GGA-PBE | relaxed

Space group: P4/mmm
N(E_F) in states/eV/f.u.: 8.19
Crystal system: tetragonal

Lattice parameters (Å, degrees): 5.2785 5.2785 5.8250 90.00 90.00 90.00
Positions (direct):
Se  0.5000  0.0000  0.0000
H  0.5000  0.5000  0.5000
Se  0.0000  0.5000  0.0000
Y  0.0000  0.0000  0.0000
Zr  0.0000  0.0000  0.5000



Ordered calculated total energy results: -4.818 -5.673 -5.357 -5.037 -5.609 -4.286; unit eV per atom.

~~~~~

# LaTl2As

A relaxed structure of LaTl2As (PBE-GGA, Alexandria).

## Properties
The calculation puts the energy relative to the elements at -447 meV/atom.

a b c (Å): 5.9218 5.9218 5.9218
angles (deg): 134.63 130.68 69.24
Sites, in units of the cell vectors:
Tl1 0.0003 0.0003 0.0000
Tl2 0.7269 0.2269 0.5000
As1 0.5072 0.5072 0.0000
La1 0.2656 0.7656 0.5000

# LaTlAs3

A relaxed structure of LaTlAs3 (PBE-GGA, Alexandria).

## Properties
The calculation puts the energy relative to the elements at 324 meV/atom.

a b c (Å): 5.7049 5.7049 5.7049
angles (deg): 90.00 90.00 90.00
Sites, in units of the cell vectors:
As1 0.0000 0.5000 0.0000
As2 0.5000 0.0000 0.0000
As3 0.0000 0.0000 0.5000
La1 0.0000 0.0000 0.0000
Tl1 0.5000 0.5000 0.5000

Question: energy relative to the elements of number 2 (LaTlAs3)?
Answer: 324 meV/atom

~~~~~

Computed, not measured: a relaxed structure of CeGdHgSb at the GGA-PBE level of DFT.

POSCAR file:
```
CeGdHgSb
1.0
-0.105 5.382 0.192
-4.669 2.625 -0.573
-2.219 2.502 4.223
Gd Ce Sb Hg
1 1 1 1
Direct
0.750 0.750 0.750 Gd
0.250 0.250 0.250 Ce
0.000 0.000 0.000 Sb
0.500 0.500 0.500 Hg
```

Computed properties:
Total DFT energy (no corrections): -6.715 eV/atom
Raw formation energy: -605.0 meV per atom
Mass density: 9.31 g/cm3
DOS at the Fermi energy: 10.0 states/eV/f.u.

Computed, not measured: a relaxed structure of ErTh2Sn at the GGA-PBE level of DFT.

POSCAR file:
```
ErTh2Sn
1.0
4.193 0.000 0.000
0.000 4.193 0.000
0.000 0.000 6.940
Th Sn Er
2 1 1
Direct
0.000 0.000 0.771 Th
0.000 0.000 0.229 Th
0.500 0.500 0.000 Sn
0.500 0.500 0.500 Er
```

Computed properties:
Total DFT energy (no corrections): -6.079 eV/atom
DFT formation energy: -0.91 eV/f.u.
********

**Worked solution:**
YH2Se | GGA-PBE | relaxed

Space group: Cm
N(E_F) in states/eV/f.u.: 1.66
Crystal system: monoclinic

Lattice parameters (Å, degrees): 5.3629 4.0252 7.0083 90.00 122.12 90.00
Positions (direct):
H  0.5993  0.0000  0.5627
Se  0.1284  0.0000  0.0806
Se  0.1284  0.5000  0.5806
H  0.5348  0.0000  0.6561
H  0.5348  0.5000  0.1561
Y  0.7699  0.0000  0.2586
H  0.5993  0.5000  0.0627
Y  0.7699  0.5000  0.7586



Y3HSe | GGA-PBE | relaxed

Space group: Pm-3m
N(E_F) in states/eV/f.u.: 4.20
Crystal system: cubic

Lattice parameters (Å, degrees): 4.7280 4.7280 4.7280 90.00 90.00 90.00
Positions (direct):
Se  0.5000  0.5000  0.5000
Y  0.0000  0.5000  0.0000
Y  0.0000  0.0000  0.5000
Y  0.5000  0.0000  0.0000
H  0.0000  0.0000  0.0000



YHSe2 | GGA-PBE | relaxed

Space group: P1
N(E_F) in states/eV/f.u.: 0.00
Crystal system: triclinic

Lattice parameters (Å, degrees): 4.3671 7.8594 5.6776 66.08 89.96 90.76
Positions (direct):
Y  0.7380  0.3988  0.8131
Y  0.2426  0.7592  0.1135
Se  0.2296  0.1394  0.1369
H  0.2501  0.1546  0.3885
Se  0.7507  0.0185  0.7898
Se  0.7371  0.5015  0.2599
Se  0.2436  0.6565  0.6667
H  0.7436  0.0040  0.5374



YH2Se | GGA-PBE | relaxed

Space group: P1
Crystal system: triclinic

Lattice parameters (Å, degrees): 3.8409 4.3183 7.6696 89.70 76.10 89.78
Positions (direct):
Se  0.0613  0.3885  0.9860
H  0.3993  0.6292  0.3213
H  0.9355  0.8866  0.2448
Y  0.8782  0.3857  0.3716
H  0.3528  0.9446  0.6293
Y  0.5183  0.8876  0.0762
Se  0.7201  0.8811  0.6543
H  0.4009  0.1446  0.3198



Y2H2Se | GGA-PBE | relaxed

Space group: I4/mmm
N(E_F) in states/eV/f.u.: 2.89
Crystal system: tetragonal

Lattice parameters (Å, degrees): 3.5965 3.5965 6.6689 74.36 74.36 90.00
Positions (direct):
Y  0.6410  0.6410  0.7181
H  0.2500  0.7500  0.5000
Se  0.0000  0.0000  0.0000
Y  0.3590  0.3590  0.2819
H  0.7500  0.2500  0.5000



YZrHSe2 | GGA-PBE | relaxed

Space group: P4/mmm
N(E_F) in states/eV/f.u.: 8.19
Crystal system: tetragonal

Lattice parameters (Å, degrees): 5.2785 5.2785 5.8250 90.00 90.00 90.00
Positions (direct):
Se  0.5000  0.0000  0.0000
H  0.5000  0.5000  0.5000
Se  0.0000  0.5000  0.0000
Y  0.0000  0.0000  0.0000
Zr  0.0000  0.0000  0.5000



Ordered calculated total energy results: -4.818 -5.673 -5.357 -5.037 -5.609 -4.286; unit eV per atom.

~~~~~

# LaTl2As

A relaxed structure of LaTl2As (PBE-GGA, Alexandria).

## Properties
The calculation puts the energy relative to the elements at -447 meV/atom.

a b c (Å): 5.9218 5.9218 5.9218
angles (deg): 134.63 130.68 69.24
Sites, in units of the cell vectors:
Tl1 0.0003 0.0003 0.0000
Tl2 0.7269 0.2269 0.5000
As1 0.5072 0.5072 0.0000
La1 0.2656 0.7656 0.5000

# LaTlAs3

A relaxed structure of LaTlAs3 (PBE-GGA, Alexandria).

## Properties
The calculation puts the energy relative to the elements at 324 meV/atom.

a b c (Å): 5.7049 5.7049 5.7049
angles (deg): 90.00 90.00 90.00
Sites, in units of the cell vectors:
As1 0.0000 0.5000 0.0000
As2 0.5000 0.0000 0.0000
As3 0.0000 0.0000 0.5000
La1 0.0000 0.0000 0.0000
Tl1 0.5000 0.5000 0.5000

Question: energy relative to the elements of number 2 (LaTlAs3)?
Answer: 324 meV/atom

~~~~~

Computed, not measured: a relaxed structure of CeGdHgSb at the GGA-PBE level of DFT.

POSCAR file:
```
CeGdHgSb
1.0
-0.105 5.382 0.192
-4.669 2.625 -0.573
-2.219 2.502 4.223
Gd Ce Sb Hg
1 1 1 1
Direct
0.750 0.750 0.750 Gd
0.250 0.250 0.250 Ce
0.000 0.000 0.000 Sb
0.500 0.500 0.500 Hg
```

Computed properties:
Total DFT energy (no corrections): -6.715 eV/atom
Raw formation energy: -605.0 meV per atom
Mass density: 9.31 g/cm3
DOS at the Fermi energy: 10.0 states/eV/f.u.

Computed, not measured: a relaxed structure of ErTh2Sn at the GGA-PBE level of DFT.

POSCAR file:
```
ErTh2Sn
1.0
4.193 0.000 0.000
0.000 4.193 0.000
0.000 0.000 6.940
Th Sn Er
2 1 1
Direct
0.000 0.000 0.771 Th
0.000 0.000 0.229 Th
0.500 0.500 0.000 Sn
0.500 0.500 0.500 Er
```

Computed properties:
Total DFT energy (no corrections): -6.079 eV/atom
DFT formation energy: -0.91 eV/f.u.